Databricks Delta Live Tables 101

Databricks’ DLT offering showcases a substantial improvement in the data engineer lifecycle and workflow. By offering a pre-baked, and opinionated pipeline construction ecosystem, Databricks has finally started offering a holistic end-to-end data engineering experience from inside of its own product, which provides superior solutions for raw data workflow, live batching and a host of other benefits detailed below.

  1. What are Delta Live Tables?
  2. How are Delta Live Tables, Delta Tables, and Delta Lake related?
  3. Breaking Down The Components of Delta Live Tables
  4. When to Use Views or Materialized Views in Delta Live Tables
  5. Where are the advantages of Delta Live Tables?
  6. What is the cost of Delta Live Tables?

Since its release in 2022 Databricks’ Delta Live Tables have quickly become a go-to end-to-end resource for data engineers looking to build opinionated ETL pipelines for streaming data and big data. The pipeline management framework is considered one of most valuable offerings on the databricks platform, and is used by over 1,000 companies including Shell and H&R block. 

As an offering DLT begins to look similar to the DBT value proposition, and with a few changes (namely, jinja templating), DLT may be poised to expand more into what has traditionally been considered DBT’s wheelhouse. DLT is also positioned to begin consuming workloads that were previously handled by multiple separate orchestration, observability, and quality vendors. 

In our quest to help customers manage, understand, and optimize their Databricks workloads, we sought out to understand the value proposition for both customers, and for Databricks. In this post, we break down DLT as both a product offering as well as it’s ROI for customers.

What Are Delta Live Tables?

Delta Live Tables, or DLT, is a declarative ETL framework that dramatically simplifies the development of both batch and streaming pipelines. Concretely though, DLT is just another way of authoring and managing pipelines in databricks. Tables are created using the @dlt.table() annotation on top of functions (which return queries defining the table) in notebooks.  

Delta Live Tables are built using Databricks foundational technology such as the Delta Lake and Delta File format. As such, they operate in conjunction with these two. However, whereas these two focus on the more “stagnant” portions of the data process, DLT focuses on the transformation piece. Specifically, the DLT framework allows data engineers to describe how data should be transformed between tables in the DAG. 

Delta Live Tables are largely used to allow data engineers to accelerate their construction, deployment, and monitoring of a data pipeline. 

The magic of DLT, though, is most apparent when it comes to datasets that both involve streaming data and batch processing data. Whereas, in the past, users had to be keenly aware of and design pipelines for the type of the “velocity” (batch vs. streaming) of data transformed, DLT allows users to push this problem to the system itself. Meaning, users can write declarative transformations and let the system figure out how to handle the streaming or batch components. Operationally, Delta Live Tables add an abstraction layer over Apache Spark (or at least Databricks’ flavor of Spark). This layer provides visibility into the table dependency DAG, allowing authors to visualized, what can rapidly become inter-table dependencies. . 

Here the entry breaks off for data records >
No. 1
C6H9N | ωB97M-V/def2-TZVPD

```
16
Properties=species:S:1:pos:R:3:forces:R:3:lowdin_charge:R:1
H -1.09606 -1.54103 -1.03869 0.20 -0.02 0.04 0.112
C 0.26148 -0.52930 0.37351 -0.28 0.20 -0.06 -0.511
H -1.76719 0.00622 1.13882 0.27 0.13 0.04 0.114
N 1.38307 -1.22808 0.90806 0.60 -1.00 -0.24 0.069
C 0.17743 0.97244 0.55840 0.52 0.22 0.11 -0.203
H 0.56598 -1.26885 -1.62668 -0.31 0.09 0.04 0.111
H 2.18273 -1.10220 0.27931 -0.25 -0.16 0.34 0.084
C -0.68650 0.53416 -1.57671 0.38 -0.78 0.41 -0.080
C -0.69952 0.04947 1.36274 -0.47 -0.29 0.21 -0.044
H -1.16899 0.68123 -2.52837 -0.01 -0.03 -0.16 0.092
H -0.42769 -0.10388 2.40878 -0.08 0.10 -0.35 0.107
C -0.39203 1.49270 -0.71062 -0.16 0.58 0.08 -0.076
H 0.96780 1.51461 1.08688 -0.31 -0.21 -0.22 0.140
C -0.25610 -0.83461 -1.03157 -0.21 0.35 -0.34 -0.113
H -0.56852 2.54995 -0.89151 -0.01 -0.13 0.10 0.103
H 1.20191 -2.24869 0.96055 0.13 0.96 -0.01 0.094
```
Forces are in eV/Å.

Results
SMILES string ... N[C@]12CC=C[C@H]1C2
HOMO ... -8.81 eV

***

No. 2
C6H9N | ωB97M-V/def2-TZVPD

```
16
Properties=species:S:1:pos:R:3:forces:R:3:lowdin_charge:R:1
H 0.13315 2.20960 0.74796 0.30 -1.44 -2.07 0.144
C 0.27084 1.33845 -0.06154 -4.66 3.94 -0.19 -0.119
H -1.14278 -1.74283 -0.27648 4.00 0.05 1.22 0.143
C 1.07882 -0.78274 -0.55913 -1.24 0.98 -0.30 -0.161
C -0.86350 0.23389 0.26079 -3.16 -1.10 -3.34 -0.251
H 0.06186 1.72409 -1.16645 0.97 -0.73 2.42 0.159
H -2.80409 1.02467 -0.59084 1.29 -2.81 1.02 0.111
H -2.58221 -0.89681 0.02123 -0.97 -0.49 -0.44 0.023
H 0.00884 -1.53860 1.30670 -0.11 0.08 -1.28 0.117
H 1.16764 0.43846 1.31033 0.16 -1.37 4.01 0.108
C -2.17149 0.04815 -0.23053 1.98 5.88 1.18 0.011
H 2.75245 -0.85571 0.36306 0.49 2.69 -1.00 0.147
C 1.30549 0.43889 0.31973 1.47 0.72 -3.42 -0.515
N 2.49188 0.03311 -0.25380 -0.02 -4.97 0.21 0.161
C -0.16161 -1.17141 0.24310 -2.56 -1.91 2.45 -0.198
H 0.45471 -0.50122 -1.43413 2.06 0.47 -0.46 0.121
```
Forces are in eV/Å.

Results
SMILES string ... C=C1C[C@@H]2N[C@H]2C1
HOMO ... -8.64 eV

***

No. 3
C6H9N | ωB97M-V/def2-TZVPD

```
16
Properties=species:S:1:pos:R:3:forces:R:3:lowdin_charge:R:1
N -0.79866 0.14454 -1.47945 0.02 -0.03 -0.04 0.044
H 0.74833 -2.30244 -1.10937 0.02 0.12 0.01 0.078
H 1.92039 -1.39169 -0.15651 -0.11 0.03 -0.09 0.072
C 1.17569 -1.30505 -0.95180 0.07 -0.03 0.03 -0.030
H 1.52712 0.81036 1.94379 -0.15 -0.07 -0.04 0.077
H -2.46067 1.49363 -1.43359 0.15 -0.07 0.11 0.104
C -1.65097 1.03517 -0.88200 -0.06 0.03 0.00 -0.134
C -1.25958 1.16474 0.42410 -0.04 0.04 0.03 -0.065
H -1.73120 1.78805 1.17391 0.07 -0.08 -0.14 0.099
C 0.64287 0.16091 1.90481 0.08 -0.03 0.16 -0.059
C 0.13494 -0.29923 -0.57473 0.00 0.01 0.06 -0.294
H 0.99198 -0.86794 2.05514 -0.09 0.17 -0.07 0.071
C -0.12647 0.32126 0.62580 0.07 -0.07 -0.05 -0.261
H 1.71123 -1.02431 -1.86638 -0.09 0.00 0.11 0.076
H -0.84278 -0.14656 -2.44057 -0.02 0.03 0.08 0.149
H 0.01778 0.41856 2.76685 0.08 -0.05 -0.15 0.073
```
Forces are in eV/Å.

Results
SMILES string ... Cc1cc[nH]c1C
HOMO ... -7.80 eV

***

The DAG may look something like this:

Table dependency visualization is just the beginning. DLT provides a comprehensive suite of tools on top of these pipelines that are set up by default. This can include tools such as data quality checks, orchestration solutions, governance solutions, and more.

When executed properly, DLT helps with total cost-of-ownership, data accuracy and consistency, speed, and pipeline visibility and management. There are many who actually say that DLT is Databricks’ foray into the world of DBT, hoping to cannibalize DBT’s offering. To the question of how this may all play out, we’ll just wait and see.

The word “Delta” appears a lot in the Databricks ecosystem, and to understand why, it’s important to look back at history. In 2019, Databricks publicly announced the Delta Lake, a foundational element for storing data (tables) into the Databricks Lakehouse. Delta Lake popularized the idea of a Table Format on top of files, with the goal of bringing reliability to data lakes. As such, Delta Lake provided ACID transactions, scalable metadata handling, and unified streaming/batch processing to existing Data Lakes in a Spark API compatible way.

Tables that live inside of this Delta Lake are written using the Delta Table format and, as such, are called Delta Tables. Delta Live Tables focus on the “live” part of data flow between Delta tables – usually called the “transformation” step in the ETL paradigm. Delta Live Tables (DLTs) offer declarative pipeline development and visualization.

In other words, Delta Table is a way to store data in tables, whereas Delta Live Tables allows you to describe how data flows between these tables declaratively. Delta Live Tables is a declarative framework that manages many delta tables, by creating them and keeping them up to date. In short, Delta Tables are a data format while Delta Live Tables is a data pipeline framework. All are built on the data lakehouse infrastructure of Delta Lake.

Breaking Down The Components Of Delta Live Tables

The core of DLT is the pipeline— the main unit of execution used to configure and run data processing workflows with Delta Live Tables. These pipelines link data sources to target datasets, through what’s known as a Directed Acyclic Graph (DAG), and are declared in Python or SQL source files. Delta Live Tables infers the dependencies between these tables, ensuring updates occur in the correct order.

Each pipeline configuration is defined by its settings, such as notebook, running mode, and cluster configuration. Before processing data with Delta Live Tables, you must configure a pipeline.

As an aside, for the developers reading this, for some reason the Databricks SDK defines a Pipeline as a List of Clusters, which either may be a preview for what to expect in new features or an oversight. We’ll find out soon.

Delta Live Table pipeline supports three types of datasets: Streaming tables, Materialized Views and Views. Streaming tables are ideal for ingestion workloads, and pipelines that require data freshness and low latency. They are designed for data sources that are append-only.

Supported views can either be materialized views where the results have been precomputed based on the update schedule of the pipeline in which they’re contained—or views, which compute results from source datasets as they are queried (leveraging caching optimizations when available). Delta Live Tables do not publish views to the catalog, so views can only be referenced within the pipeline in which they’re defined. Views are useful as intermediate queries that should not be exposed to end users or systems. Databricks describes how each is processed with the following table:

Dataset TypeHow are records processed through defined queries?
Streaming TableEach record is processed exactly once. This assumes an append-only source.
Materialized ViewsRecords are processed as required to return accurate results for the current data state. Materialized views should be used for data sources with updates, deletions, or aggregations, or for change data capture processing (CDC).
ViewsRecords are processed each time the view is queried. Use views for immediate transformations and data quality checks that should not be published to public datasets.

After defining your pipeline settings, you can declare your datasets in DLT using either SQL or Python. These declarations can then trigger an update to calculate results for each dataset in the pipeline.

When to Use Views or Materialized Views in Delta Live Tables

Given the existence of two options to create views on top of data, there must be some situations where one should be preferred over the other. The choice of View or Materialized View primarily depends on your use case. The biggest difference between the two is that Views, as defined above, are computed at query time, whereas Materialized Views are precomputed. Views also have the added benefit that they don’t actually require any additional storage, as they are computed on the fly. 

The general rule of thumb when choosing between the two has to do with the performance requirements and downstream access patterns of the table in question. When performance is critical, having to compute a view on the fly may be an unnecessary slowdown, even if some storage is saved by computing the table on-the-fly, in which case, Materialized Views may be preferred. The same is true when there are multiple downstream consumers of a particular View. Having to compute the exact same view, on the fly, for multiple tables is inefficient and unnecessary. In this case, persisting the Materialized View may be preferred.  

However, there are multiple situations where users just need a quick view, computed in memory, to reference a particular state of a transferred table. Rather than materializing this table, which again, is only needed for an operation in the same transformation, creating a View is more straightforward and efficient.

Databricks also recommends using views to enforce data quality constraints or to transform and enrich datasets that drive multiple downstream queries.

What Are the Advantages of Delta Live Tables?

There are many benefits to using a Delta Live Table, including simpler pipeline development, better data quality standards, and support for unified real time and batch analytics. 

  • Unified streaming/batch experience. By removing the need for data engineers to build distinct streaming / batch data pipelines, DLT simplifies one of the most difficult pain points of working with data, thereby offering a truly unified experience.
  • Opinionated Pipeline Management. The modern datastack is filled with orchestration players, observability players, data quality players, and many others. That makes it difficult, as a platform manager, to not only select how to configure the standard/template data stack, but also how to enforce those standards. DLT offers an opinionated way to orchestrate and assert dataquality.
  • Performance Optimization. DLTs offer the full advantages of Delta Tables, which are designed to handle large volumes of data and support fast querying, as their vectorized query execution allows them to process data in batches rather than one row at a time. This makes them ideal not just for real-time data ingestion but cleaning of large datasets.
  • Management. Delta Live Tables automate away, otherwise manual tasks, such as compactions or selection of job execution order.  Tests by Databricks show that with the use of automatic orchestration, DLT was 2x faster than the non-DLT Databricks baseline, as DLT is better at orchestrating tasks than humans (meaning, they claim DLT is better at determining and managing table dependencies).
  • Built-in Quality Assertions. Delta Live Tables also provide some data quality features, such as data cleansing and data deduplication, out of the box. Users can specify rules to remove duplicates or cleanse data as data is ingested into a Delta Live Table, ensuring data accuracy. DLT automatically provides real-time data quality metrics to accelerate debugging and improve the downstream consumer’s trust in the data.
  • ACID Transactions. Because DLTs use Delta format they support ACID transactions (Atomicity, Consistency, Isolation and Durability) which has become the standard for data quality and exactness.
  • Pipeline Visibility. Another one of the benefits of Delta Live Tables is a Directed Acyclic Graph of your data pipeline workloads. In fact, this is one of the bigger reasons that DBT adoption has occured at the speed it has. Simply visualizing your data pipelines has been a common challenge. DLT DLT gives you a clear, visually compelling way to both see and introspect your pipeline at various points.
  • Better CDC. Another large improvement in DLT is the ability to use Change Data Capture (CDC)  including support for Slowly Changing Dimensions Type 2 just by setting the enableTrackHistory parameter in the configuration. This is a data history tracking feature incredibly useful for audits and maintaining consistency across datasets. We dive a bit further into this below.

What To Know About Change Data Capture (CDC) in Delta Live Tables

One of the large benefits of Delta Live Tables is the ability to use Change Data Capture while streaming data. Change Data Capture refers to the tracking of all changes in a data source so they can be captured across all destination systems. This allows for a level of data integrity and consistency across all systems and deployment environments which is a massive improvement.

With Delta Live Tables, data engineers can easily implement CDC with new Apply Changes into the API (either with Python or SQL). The capability lets ETL pipelines easily detect source data changes and apply them to data sets throughout the lakehouse.

Importantly, Delta Live Tables support Slowing Changing Dimensions (SCD) both type 1 and type 2. This is important because SCD type 2 retains a full history of values, which means even in your data lakehouse, where compute and storage are separate, you can retain a history of records—either on all updates or on updates to a specified set of columns.

In SDC2, when the value of an attribute changes, the current record is closed, a new record is created with the changed data values, and this new record becomes the current record. This means if a user entity in the database moves to a different address, we can store all previous addresses for that user.

This implementation is of great importance to organizations that require maintaining an audit trail of changes.

What is the cost of Delta Live Tables?

### Attached: calculated molecules
____________
No. 1
# C4H12N2O

A single C4H12N2O molecule in a non-equilibrium geometry (wB97M-V/def2-TZVPD, the OMol25 dataset).

Atoms and positions in Å:
C 0.695 0.475 0.165
C 0.368 1.171 -1.159
C -1.147 1.337 -1.381
O -1.655 2.419 -0.625
N 0.180 -0.834 0.362
C 0.886 -1.576 1.422
N 0.676 -3.055 1.251
H 1.817 0.541 0.259
H 0.276 1.223 0.884
H 0.837 0.746 -2.051
H 0.687 2.225 -1.154
H -1.673 0.391 -1.175
H -1.300 1.523 -2.477
H -1.797 3.134 -1.246
H -0.800 -0.712 0.583
H 1.973 -1.465 1.359
H 0.392 -1.234 2.326
H 1.469 -3.532 1.665
H 0.756 -3.219 0.250

Summary:
E_LUMO (eV): 0.9314
Orbital gap (hartree): 0.36102
Energy relative to the best compared isomer or geometry (same formula, charge and spin) (kcal per mole): 46.7
HOMO (eV): -8.892
E (eV): -9369.1686

No. 2
# C4H12N2O

A single C4H12N2O molecule in a non-equilibrium geometry (wB97M-V/def2-TZVPD, the OMol25 dataset).

Atoms and positions in Å:
N -1.212 0.304 -0.789
C 0.148 0.018 -0.144
C -0.030 -0.551 1.249
C -0.748 0.401 2.248
O -1.699 1.342 1.732
C 1.028 -0.667 -1.135
N 1.290 0.131 -2.338
H -1.714 -0.518 -1.110
H -0.934 0.806 -1.625
H -1.862 1.087 0.797
H 0.495 1.078 -0.094
H -0.590 -1.468 1.004
H 0.917 -0.820 1.736
H 0.005 0.976 2.776
H -1.335 -0.210 2.922
H 1.967 -0.923 -0.607
H 0.703 -1.638 -1.523
H 1.837 -0.345 -3.040
H 1.733 0.996 -2.059

Summary:
E_LUMO (eV): 0.9317
Orbital gap (hartree): 0.38162
Energy relative to the best compared isomer or geometry (same formula, charge and spin) (kcal per mole): 34.4
HOMO (eV): -9.453
E (eV): -9369.7002

No. 3
# C4H12N2O

2 unconnected molecules or ions with the total composition C4H12N2O in a non-equilibrium geometry (wB97M-V/def2-TZVPD, the OMol25 dataset).

Atoms and positions in Å:
C -0.257 0.151 -1.014
C 0.898 -0.822 -0.908
C -0.233 1.201 0.189
C -0.229 0.901 -2.340
H -1.198 -0.398 -0.927
H 0.928 -1.219 0.121
H 1.846 -0.336 -1.125
H 0.757 -1.670 -1.573
H 0.709 1.446 -2.453
H 0.752 1.657 0.230
H -0.987 1.965 -0.016
H -0.494 0.796 1.169
H -0.325 0.198 -3.175
H -1.046 1.617 -2.399
N 0.081 -0.884 3.160
N -0.247 -1.389 1.986
O -1.412 -1.719 1.848
H 1.057 -0.684 3.315
H -0.601 -0.808 3.913

Summary:
E_LUMO (eV): 0.8270
Orbital gap (hartree): 0.38193
Energy relative to the best compared isomer or geometry (same formula, charge and spin) (kcal per mole): 71.6
HOMO (eV): -9.566
E (eV): -9368.0905

No. 4
# C4H12N2O

A single C4H12N2O molecule in a non-equilibrium geometry (wB97M-V/def2-TZVPD, the OMol25 dataset).

Atoms and positions in Å:
C -0.467 -0.218 0.079
C 0.897 0.226 -0.352
C 0.795 1.054 -1.654
N 1.864 2.029 -1.852
N -0.304 -1.336 1.006
C -1.064 -1.386 2.214
O -2.505 -1.216 2.047
H -1.145 -0.427 -0.763
H -0.868 0.604 0.683
H 1.600 -0.573 -0.559
H 1.389 0.863 0.388
H -0.169 1.614 -1.577
H 0.643 0.322 -2.431
H 1.458 2.954 -1.797
H 2.188 1.962 -2.811
H 0.013 -2.234 0.686
H -0.788 -0.582 2.916
H -0.904 -2.344 2.667
H -2.633 -1.313 1.108

Summary:
E_LUMO (eV): 0.9135
Orbital gap (hartree): 0.35778
____________

As with all things Databricks, the cost of Delta Live Tables depends on the compute function itself (as well as cost variance by region and cloud provider). On AWS, DLT compute can range from $0.20/dbu for DLT Core Compute Photon all the way up to $0.36/dbu for DLT Advanced Compute. However keep in mind these prices can be up to twice as high when applying expectations and CDC, which are among the chief benefits of Delta Live Tables.

From an efficiency perspective, DLT results in a reduction in total cost of ownership. Automatic orchestration tests by Databricks have shown total compute time to be reduced to as much as half with Delta Live Tables–ingesting up to 1 billion records for under $1. Additionally, Delta Live integrates the orchestrator and Databricks into a single console, which reduce the cost of maintaining two different systems to maintain two solutions.

However, users should also be cautioned that without proper optimization, Delta Live Tables can result in a large increase in virtual machine instances, which is why its crucial to always maintain your auto scaling resources.

Want to learn more about getting started with Delta Live Tables? Reach out to us at